This was based on a prompt from Eien. I decided to use it as a first chapter for a multichapter fic featuring my favorite Rukia pairing! This is my ship. Ashido was done a dirty in canon and I refuse to let that stand.

That being said, I plan to make this fic pretty much episodic. Shorter, more contained chapters.

Although the focus is on reintegration and all that comes with it... this is going to be a slightly more lighthearted take on the theme than what I have written/plan to write in other fics.

Ashido's age: I had to make a guess here, folks. He said "centuries" in the anime, and given that shinigami do seem to age... I decided that since Ashido hasn't visibly aged, it's somewhere between 2 and 3. Also for plot reasons. So in this fic, he's been in the forest for a little over 200 years.

Sorry for the long notes, and I hope you enjoy!

Prompt: "You came back."

Hope is a poison.

Ashido had known that for a long, long time. It had sat in his soul for years, while he waited in the emptiness of Hueco Mundo for rescue that was not coming - never was. Corroding, eating away inside and filling up the vacant space in the wake of its meal. It drove him to create graves for people that had left no bodies behind. So that he would not forget them, an eternal reminder that someday he would bring their spirits home.

But time pressed in on him, and every day it became just a little harder to take up his zanpakuto. A little harder to fight. Harder to face the blank graves.

The day he stopped believing that someone was coming to find his vanished team was the day hope died in him.

And that was when he truly understood Hollows for the first time. How it felt to be left with a huge, gaping nothing inside. What it was like when no one came to save you from your agony. He was on his own, with nothing but the graves and Hollows for company.

A few more years passed, and even that pain had faded; the wound in his soul scarring over. New scars crisscrossing his heart; flesh that did not feel pain, or cold, or warmth.

It no longer hurt to talk to his friends.

Still, he kept going. Ashido didn't want to die. Not yet. He wanted his friends to be proud of him when he finally rejoined them. Duty and his sword were all he had left. That, and the knowledge that he could still do some good in this hollow, empty world.

But then, he'd met another shinigami for the first time in his centuries of isolation.

Rukia… Kuchiki.

Ashido remembered the Kuchiki's being a powerful noble clan back in the Seireitei. But that meant little in the Menos Forest. So he'd tested her. Burden or comrade? He had to know which she would be. It was better for the both of them that way.

Rukia, though… she was strong. Even after seeing the horror of the Forest, she had not wavered in her conviction to find her friend, to venture into a place of monsters he had taken care to avoid all this time. Las Noches was a nest of adjuchas, and their vasto lorde King of Hueco Mundo held power far beyond that of any captain in the seireitei. The shinigami had long believed the vasto lordes to be a superior class of menos, but they had no true understanding of what this one was capable of. Yet Rukia still wanted to go, to save her friend.

She'd greeted his friends with him.

How long had it been since he'd last visited them, before she came? How long had they waited for someone to come rescue them?

Too long. Far, far too long.

[These quantum chemistry results were left in the page by mistake]
[1]
C3H3FN2OS | wB97M-V/def2-TZVPD

The electronic energy comes out at -21737.4022 eV. The value obtained for the energy relative to the best compared isomer or geometry (same formula, charge and spin) is 225.1 kJ/mol. The calculation puts the HOMO-LUMO gap at 8.272 eV. The LUMO energy is -0.115 eV. As for the structure (SMILES): Oc1nc(S)[nH]c1F. As for the charge: 0.

Structure (XYZ):
```
11
Properties=species:S:1:pos:R:3:forces:R:3:nbo_charge:R:1
O 2.2059 -1.5311 -0.0144 0.9307 3.0192 -1.5602 -0.666
C 1.1012 -0.6330 -0.0050 3.3578 -2.3525 0.2192 0.340
N -0.0866 -1.1172 0.2100 -4.3075 0.9830 -1.2650 -0.472
C -0.9314 -0.0153 0.0423 0.9474 -4.1848 1.6888 0.185
S -2.6957 -0.1600 -0.0841 -0.0476 3.0013 1.5919 0.049
N -0.2248 1.0831 0.0007 -0.9510 4.8182 -1.1686 -0.555
C 1.1468 0.6972 -0.1227 -0.0267 1.3900 0.2876 0.347
F 2.3025 1.3984 0.0612 -1.4769 0.3909 -0.3719 -0.304
H 2.9837 -1.0356 -0.5238 -2.4883 -1.5557 1.7462 0.486
H -3.0750 1.2063 0.6458 0.9454 -3.0556 -1.5353 0.144
H -0.8671 1.9981 -0.1741 3.1167 -2.4541 0.3671 0.446
```
Forces are in eV/Å.



[2]
C3H7N3 | wB97M-V/def2-TZVPD

The electronic energy comes out at -7692.1723 eV. The value obtained for the energy relative to the best compared isomer or geometry (same formula, charge and spin) is 241.9 kJ/mol. The calculation puts the HOMO-LUMO gap at 9.560 eV. The LUMO energy is 0.550 eV. As for the charge: 0.

Structure (XYZ):
```
13
Properties=species:S:1:pos:R:3:forces:R:3:nbo_charge:R:1
N -1.9624 -0.4255 -0.2206 -0.2541 0.0998 -0.0624 -0.872
C -0.8642 0.5162 -0.0158 0.1149 0.0156 0.0755 -0.347
C 0.3949 -0.1003 0.5163 -0.2112 -0.3013 0.0336 0.121
N 0.3792 -1.3967 0.5376 -0.0515 0.1227 0.0131 -0.709
C 2.6765 1.2523 -0.3259 0.8739 0.4498 -0.3939 -0.003
N 3.5624 1.7201 -0.9103 -0.8697 -0.4454 0.5383 -0.404
H -2.6796 -0.2975 0.4828 0.0167 -0.0874 -0.1072 0.370
H -2.3958 -0.3076 -1.1272 -0.0084 -0.0201 0.0982 0.374
H -1.1203 1.3657 0.6329 -0.0221 -0.1738 -0.0818 0.215
H -0.5583 0.9789 -0.9671 -0.0642 -0.0886 0.1584 0.234
H 1.7611 0.7363 0.2376 0.6452 0.3729 -0.3070 0.223
H -0.4606 -1.9086 0.2527 0.0622 0.0140 0.0121 0.397
H 1.2143 -1.9102 0.7921 -0.2318 0.0417 0.0230 0.400
```
Forces are in eV/Å.



[3]
C24H22AsCl3HfNO4 | wB97M-V/def2-TZVPD

The electronic energy comes out at -134638.1070 eV. The value obtained for the energy relative to the best compared isomer or geometry (same formula, charge and spin) is 0.0 kJ/mol. The calculation puts the HOMO-LUMO gap at 7.782 eV. The LUMO energy is -3.321 eV. As for the charge: +1.

Structure (XYZ):
```
56
Properties=species:S:1:pos:R:3:forces:R:3:nbo_charge:R:1
Hf 0.5195 -0.8426 0.4892 0.3236 -0.5736 0.7659 2.362
C 0.9633 -2.2227 2.6461 0.0639 -0.0987 0.0060 -0.277
C 2.1023 -1.4531 2.3431 0.3270 -0.3142 -0.0399 -0.346
C 2.6099 -1.8944 1.0918 0.3187 -0.2937 0.2953 -0.408
C 1.7650 -2.9331 0.6282 0.3517 -0.3069 0.2837 -0.362
C 0.7480 -3.1283 1.5919 0.2322 -0.1309 0.0507 -0.339
H 0.3608 -2.1407 3.5361 -0.0738 0.1148 -0.0560 0.256
[So much for the quantum chemistry results]

And she had told it to him straight, when he'd asked about the level of Hollows in the Living World. He'd appreciated that, despite her reluctance to talk about whatever tragedy had befallen the shinigamis. Ashido wondered, too, about the circumstances that had led to someone being captured and held at Las Noches. In his memories, the vasto lorde that ruled there did not care to take hostages. Even if he did, the chances of Rukia's friend surviving long were... minimal.

Her dedication to her friends evoked his admiration, and respect.

It had been slow, and insidious, this poison she had afflicted him with once more.

The hope of seeing his home again, the chance to finally let his friends' families know how they'd spent their final moments. He'd given up on that… until her.

And now here he was, again. Alone in a forest of death. With only the Hollows and the silent graves for company.

Here the text breaks off for data records >
┌──
12
Properties=species:S:1:pos:R:3:forces:R:3 method="wB97M-V/def2-TZVPD" de_lowest_kcal_mol=69.33 multiplicity=1 energy_ev=-17042.7608 homo_ev=-8.507 orbital_gap_ha=0.331
C -1.10736 0.69026 -0.63836 0.4 -0.6 -0.3
C 1.53591 -0.17875 -0.42693 -1.0 -0.2 -2.6
N -1.90875 1.01708 0.33018 -1.2 -0.5 -0.3
O 1.69969 0.64709 0.63749 0.2 1.3 2.6
O -0.44196 -1.45659 1.02966 -0.2 -0.5 1.0
P -0.18661 -0.86537 -0.29800 0.3 -0.3 -0.5
H 2.38356 -0.80537 -0.57327 0.4 -1.4 0.1
H 1.51997 0.40076 -1.39387 -0.1 0.0 1.1
H 1.68389 0.19318 1.52410 -0.1 0.2 -1.6
H -2.48853 1.82128 0.01867 0.2 -0.7 1.4
H -2.20721 0.38103 1.15955 0.8 1.3 -1.5
H -0.48258 -1.84460 -1.36922 0.4 1.3 0.5


[1]
Computed, not measured: the molecule C4H12N2, with ωB97M-V/def2-TZVPD.

The geometry in XYZ format:
```
18
Properties=species:S:1:pos:R:3:forces:R:3:lowdin_charge:R:1
N 0.03821 0.06382 -2.25135 -1.2632 0.3746 -1.5296 -0.064
N -0.51451 -0.22894 0.45444 0.6687 1.4948 -0.7565 -0.343
C 0.23343 0.97366 -0.03286 1.9157 -0.0496 1.6781 -0.247
C 0.19539 -1.49791 0.38180 0.7301 0.0492 -1.3282 -0.141
C 1.05652 0.72673 -1.36941 -2.9530 -3.0977 2.9245 -0.224
C -1.00468 0.07096 1.80963 -1.2184 1.2907 -0.2884 -0.140
H 1.43486 1.68822 -1.67272 0.2935 -0.1083 -0.7352 0.090
H -1.83170 -0.65153 2.18086 1.8326 0.8843 -0.4752 0.106
H -0.37612 -0.84503 -1.91690 1.2485 1.6659 -0.0804 0.038
H 0.98487 1.36934 0.80720 -1.1468 -0.8730 -1.2679 0.131
H 1.84184 -0.07923 -1.06463 -1.0004 1.7514 -1.0676 0.115
H 1.34695 -1.32243 0.77108 -2.7530 -1.2401 -0.4684 0.128
H -0.84560 0.63986 -2.41897 1.9956 -0.5960 0.4602 0.089
H -1.53765 1.08578 1.72837 0.6071 -1.3874 0.1355 0.092
H -0.60276 -2.01940 0.95081 1.7553 -1.1814 0.1224 0.072
H -0.50528 1.77034 -0.09656 0.0110 0.1398 -0.5004 0.092
H -0.14151 0.29173 2.49770 -0.7996 -0.7479 -0.0523 0.083
H 0.22773 -2.03596 -0.75847 0.0761 1.6308 3.2294 0.124
```
Positions in Å, forces in eV/Å.

Results
energy above the lowest of the compared OMol25 structures with the same formula, charge and spin: 282.5 kJ/mol
HOMO-LUMO gap: 9.6 eV

[2]
Computed, not measured: a cluster of 5 separate species, C11H22Br8FNO3S in total, with ωB97M-V/def2-TZVPD.

The geometry in XYZ format:
```
47
Properties=species:S:1:pos:R:3:forces:R:3:lowdin_charge:R:1
Br -3.64018 1.72988 0.58275 -0.0222 -0.0450 0.0022 0.643
Br -3.19188 -9.07081 -2.23445 -0.1019 0.0325 0.0000 0.591
Br 0.42932 2.59831 -2.79013 0.0979 0.2350 -0.1113 0.703
Br -2.00787 -0.04158 3.40081 -0.3495 0.1258 0.0246 0.689
Br -3.63837 -5.94578 -0.32304 0.0832 -0.0250 0.0148 0.584
Br 2.32580 3.25164 0.30153 -0.1179 -0.1086 -0.2175 0.600
Br 4.19178 5.57531 2.48652 0.0913 0.0153 0.0926 0.579
Br 6.26967 3.56620 0.19021 0.0444 0.1134 0.0472 0.591
S -0.38298 -2.20217 -2.24128 -3.1171 -2.2453 -5.4399 0.762
F 0.87728 -3.07468 -1.57086 -1.8804 1.9679 -0.7538 -0.198
O 0.05666 -1.35132 -3.38631 0.2647 -1.1059 4.3274 -0.287
O 0.97974 -1.48987 0.85182 -0.2954 2.5002 -2.7651 -0.215
O -1.32735 -3.23636 -2.79019 2.6077 1.9505 2.8228 -0.334
└──

Strangely, there was no resentment in him for the brief hope she'd given him. No, instead he was… happy. Happy that he made a difference at last, after centuries of effort.

He hoped she found her friend. That she wouldn't be too late, as he had been for his.

For now, his plan was to search for another way out of this place. Where Rukia and her friends had fallen through was a good place to start as any.

If all else failed, he could always take a chance and leap through a garganta again. A faint smile spread across his lips at the thought. Exciting way to return… he was sure to cause a fuss.

He would save that as a last recourse, though.

Exhaustion crawled through him, slowing his blade. Ashido hadn't quite rested enough after he'd taken down the Hollows chasing Rukia's group. It was time to think about retreating, but there were still so many Hollows close to his hideout. Something was definitely changing on the surface, and now the Hollows in the Menos Forest were frenzied.

He hoped that Rukia was still alive.

Suddenly, the movements of the Hollows changed once more. They became listless, confused.

Then he heard it - explosions from above! Like the Hollows, he turned to face the source, watching as sand burst downward from the desert's ceiling. The petrified trees creaked and groaned, and Ashido found himself running as they crumbled and fell.

Hollows screamed - those that were not swift enough were buried by the raining crystalline wood.

Just as abruptly as it had begun, it ended - the screams of the escaping Hollows cutting off in the middle.

The temperature plunged, and Ashido's breath came out in white clouds.

He knew this reiatsu. He knew it.

This was more than he had even dared to hope for. So much more.

She stood in front of him. Covered in small scrapes and dried blood, her clothes tattered from battle.

"You came back."

His voice was hoarse, and the words seemed inadequate for the emotions bursting inside of him, where once was numb emptiness. She shouldn't have given him a second thought once was she was out of this place. Her job had been to focus on her friend. Not on returning for him. He was used to being on his own.

Her smile was like the sun he hadn't seen in these many long years. Bright, rare, and beautiful.

"Ashido. Let's go home."